
Aiming for ‘zero waste,’ L.A. backs new restrictions on plastic food ware

The L.A. City Council backed further restricting plastic forks and other disposable items.
The L.A. City Council backed further restricting plastic forks and other disposable items.
(Eric Baradat / AFP / Getty Images)

== Records of molecules from another source follow ==
-- begin --
Record 1
Computed, not measured: 13 unconnected molecules or ions with the total composition C28H44Cl36I2OSi, with ωB97M-V/def2-TZVPD.

Structure (XYZ):
```
112
Properties=species:S:1:pos:R:3:lowdin_charge:R:1
I 0.072 -1.219 -2.141 0.55
I -5.467 -0.511 -4.541 0.83
Cl -3.126 -6.724 -6.648 0.53
Cl 10.411 -0.201 3.454 0.52
Cl 8.459 5.735 6.985 0.53
Cl 4.001 6.147 1.570 0.54
Cl -1.965 7.981 -8.078 0.52
Cl -2.552 -6.396 -2.490 0.54
Cl -5.068 3.397 -8.180 0.51
Cl -5.076 -1.809 0.199 0.57
Cl -4.630 -8.666 -10.004 0.52
Cl 4.472 2.772 -2.470 0.57
Cl 4.558 5.919 4.410 0.52
Cl -3.625 -5.299 6.022 0.55
Cl 9.747 1.926 8.125 0.52
Cl 11.312 -1.405 5.938 0.52
Cl -5.887 0.969 0.450 0.53
Cl 12.844 0.745 4.727 0.52
Cl -5.131 -11.337 -8.979 0.52
Cl -3.630 -9.393 -5.625 0.55
Cl 4.503 0.152 -1.219 0.53
Cl -2.621 -10.741 -10.313 0.52
Cl -4.164 3.955 -5.471 0.50
Cl -0.791 -4.997 -0.650 0.55
Cl -7.712 -0.981 -0.695 0.54
Cl 8.869 2.740 10.770 0.53
Cl 7.133 8.230 6.317 0.53
Cl -1.119 -8.796 -6.958 0.54
Cl -3.152 8.027 -5.428 0.52
Cl -3.430 -7.654 4.329 0.56
Cl 4.975 2.523 0.389 0.49
Cl 7.068 1.270 9.034 0.53
Cl -2.660 2.132 -7.159 0.52
Cl -4.482 6.620 -7.592 0.49
Cl -2.656 -7.807 7.121 0.52
Cl 4.058 3.534 2.830 0.49
Cl 8.100 6.489 4.206 0.52
Cl 0.160 -5.738 -3.293 0.53
Si -1.086 0.746 -3.064 0.26
O -3.183 -1.695 -3.213 -0.01
C -6.024 -0.504 -0.516 -1.56
C 5.194 1.776 -1.200 -1.51
C 8.385 7.081 5.844 -1.54
C -2.996 0.650 -2.918 -0.30
C -3.903 -10.103 -9.279 -1.57
C -4.267 2.738 -6.749 -1.55
C -0.733 3.531 1.691 -0.19
C -0.711 -0.315 2.450 -0.20
C 0.580 4.218 1.191 -0.19
C -0.469 2.263 2.585 -0.19
C -1.238 -5.224 -2.342 -1.53
C -3.586 -5.202 1.681 -0.12
C 11.229 0.083 4.994 -1.56
C 0.532 4.523 -0.342 -0.20
C 0.892 2.217 -1.530 -0.30
C -2.401 -8.158 -5.923 -1.54
C 4.748 5.161 2.830 -1.53
C -0.585 2.257 -2.007 -0.35
C -2.101 -3.083 2.100 -0.24
C 8.372 2.456 9.101 -1.56
C 1.445 3.626 -1.210 -0.23
C -0.359 1.007 1.680 -0.21
C -2.631 -1.977 3.039 -0.22
C -2.231 -0.526 2.595 -0.20
C -3.606 -0.660 -3.411 -0.93
C -3.476 8.005 -7.165 -1.54
C -3.755 -7.060 5.958 -1.53
C -2.482 -4.521 2.564 -0.26
H -2.706 -4.580 3.641 0.03
H -4.279 -5.716 2.358 0.03
H 9.339 7.592 5.859 0.01
H 0.712 0.902 1.421 0.10
H -1.314 2.273 -1.172 0.05
H -0.512 4.559 -0.696 0.10
H -1.963 -7.875 -4.973 -0.04
H 0.500 2.464 3.076 0.10
H -3.123 -5.994 1.069 0.04
H -4.079 -4.505 0.992 0.04
H 1.486 3.675 1.488 0.07
H -2.481 -2.853 1.092 0.08
H 10.653 0.809 5.554 -0.03
H -0.921 1.079 0.736 0.09
H -2.802 -0.292 1.683 0.08
H -4.013 8.909 -7.422 0.01
H -0.696 1.005 -4.455 -0.03
H 0.908 5.555 -0.475 0.10
H -0.202 -1.118 1.893 0.09
H -3.739 -1.978 3.019 0.10
H -4.856 1.911 -6.379 -0.07
H -2.323 -2.118 4.088 0.11
H 1.576 4.157 -2.172 0.11
H -0.212 -0.255 3.430 0.12
H -1.232 2.177 3.371 0.10
H 6.256 1.698 -1.396 0.01
H -1.313 3.196 0.814 0.08
H -3.464 -9.820 -8.328 -0.07
H -0.786 3.173 -2.595 0.09
H -1.371 4.230 2.253 0.10
H 1.482 1.782 -2.360 0.07
H -2.567 0.145 3.407 0.11
H 0.601 5.206 1.684 0.10
H 5.807 5.080 2.616 0.00
-- stop --

The City Council unanimously approved more than a dozen measures Wednesday to tighten restrictions on plastic bags, utensils, food containers and other disposables with a goal of making Los Angeles a “zero waste” city.

........
{
  "formula": "C2H3INO3",
  "method": "ωB97M-V/def2-TZVPD",
  "species": ["I", "O", "O", "O", "N", "C", "C", "H", "H", "H"],
  "coordinates": [[-3.9543, 0.7409, 0.2200], [-0.7499, -2.0076, -0.1105], [2.5452, -0.9551, 0.2338], [-2.1282, 0.7560, -0.6390], [3.0438, -0.0059, -0.2900], [-0.7426, -0.8991, 0.0646], [-0.9704, 0.5052, 0.1124], [4.0937, -0.0408, -0.3359], [-0.9953, 0.8797, 1.1492], [-0.1420, 1.0268, -0.4046]],
  "relative_energy_ev": 0.624,
  "energy_ev": -17842.832,
  "charge": 1,
  "lumo_ev": -6.15,
  "multiplicity": 1
}

* * * * *

[1]
Below is a molecular structure, C29H24F5N6Tb, with properties calculated with ωB97M-V/def2-TZVPD.

Each line ends with the Mulliken spin population.
Geometry (Å):
1 Tb -0.193 0.437 0.200  5.9446
2 C 0.802 -0.947 3.655  0.0017
3 C -0.673 -0.759 3.449  -0.0031
4 C -1.527 -0.401 4.585  -0.0005
5 C -2.875 -0.310 4.355  -0.0005
6 C -3.359 -0.320 3.109  0.0011
7 C -2.480 -0.593 2.056  -0.0011
8 N -1.107 -0.702 2.199  0.0159
9 C -3.093 -0.855 0.755  0.0025
10 C -4.463 -1.086 0.563  -0.0010
11 C -4.975 -1.123 -0.720  0.0008
12 C -4.173 -0.731 -1.769  -0.0008
13 C -2.821 -0.331 -1.536  0.0105
14 N -2.281 -0.495 -0.269  0.0065
15 C -2.046 0.223 -2.616  -0.0039
16 C -2.195 -0.125 -3.968  -0.0003
17 C -1.512 0.516 -5.000  0.0001
18 C -0.654 1.552 -4.633  -0.0004
19 C -0.482 1.839 -3.262  -0.0005
20 C 0.343 3.055 -2.872  -0.0009
21 N -1.021 1.042 -2.347  -0.0019
22 H 1.189 -0.492 4.561  0.0002
23 H 1.345 -0.477 2.811  0.0008
24 H 1.129 -2.018 3.702  0.0000
25 H -1.119 -0.351 5.591  0.0000
26 H -3.533 -0.200 5.169  0.0000
27 H -4.372 -0.087 2.853  0.0003
28 H -5.081 -1.132 1.490  -0.0001
29 H -5.995 -1.414 -0.897  0.0000
30 H -4.582 -0.579 -2.734  0.0000
31 H -2.915 -0.898 -4.169  -0.0001
32 H -1.707 0.221 -6.041  0.0000
33 H -0.152 2.190 -5.370  -0.0001
34 H 0.000 4.016 -3.312  0.0000
35 H 1.415 3.029 -3.156  0.0001
36 H 0.238 3.228 -1.801  0.0012
37 N 1.850 0.393 -1.710  -0.0009
38 C 2.932 -0.500 -1.377  -0.0019
39 C 4.255 -0.312 -1.702  -0.0016
40 C 5.187 -1.190 -1.140  0.0005
41 C 4.826 -2.122 -0.194  -0.0011
42 C 3.482 -2.349 0.124  -0.0007
43 C 3.042 -3.386 0.967  -0.0008
44 C 1.711 -3.677 1.053  0.0006
45 C 0.769 -2.763 0.508  0.0041
46 N 1.135 -1.608 -0.102  0.0131
47 C 2.491 -1.521 -0.513  0.0008
48 H 2.148 1.226 -2.038  0.0021
49 H 1.127 -0.001 -2.329  0.0036
50 H 4.605 0.413 -2.448  0.0000
51 H 6.256 -1.021 -1.456  0.0000
52 H 5.593 -2.800 0.235  -0.0001
53 H 3.770 -3.874 1.642  0.0000
54 H 1.395 -4.584 1.537  -0.0001
55 H -0.262 -2.972 0.614  -0.0003
56 N -1.956 3.499 0.552  -0.0004
57 C -1.463 2.462 0.320  0.0054
58 H -2.354 4.427 0.752  -0.0012
59 F 2.129 2.811 -0.093  0.0018
60 C 2.000 1.883 0.982  0.0051
61 F 3.225 1.263 1.141  -0.0004
62 C 1.778 2.685 2.220  0.0011
63 F 0.524 3.232 2.286  0.0003
64 F 1.954 1.842 3.254  0.0003
65 F 2.781 3.627 2.281  -0.0004

## Properties
**Net charge**: +2
**Kohn-Sham gap (alpha / beta)**: 6.70 / 6.73 eV
**<S²>**: 12.674
........

The measures, 14 in all, direct the city attorney to draft ordinances to expand the already existing plastic bag ban and bind city government to uphold zero-waste endeavors across its facilities and events, among other initiatives.

Immediate changes will take place only at city-owned and sponsored events and properties — where there will be restrictions and bans on single-use plastics and polystyrene — while the city attorney works with the departments overseeing litter, waste and procurement to draft citywide ordinances.


For now, the city government will begin to phase out single-use or disposable cups, water bottles, sealed condiment packages or plastic cups, forks, plates or bowls at city-owned venues, such as the zoo. Instead, reusable items, such as drinking glasses or bottles, must be available.

Condiments will be served from dispensers and water refill stations will be installed or made available at community events, catered events and in city-owned restaurants and cafeterias.

For prepackaged foods, the Bureau of Sanitation will work with vendors to find packaging that can be minimized, recycled or composted.

Someone pasted data records at this point >
********
{"formula": "C6H10O", "method": "ωB97M-V with the def2-TZVPD basis set", "species": ["O", "C", "C", "C", "C", "C", "C", "H", "H", "H", "H", "H", "H", "H", "H", "H", "H"], "coordinates": [[1.66156, -0.23861, 1.44924], [1.35703, -0.09425, 0.28305], [1.39374, -1.23171, -0.68987], [-1.28573, -0.74068, 0.51883], [-1.46659, 0.77091, 0.33568], [-0.33091, 1.57618, -0.26433], [0.94930, 1.22171, -0.29775], [-0.38933, -0.97472, 1.08900], [2.46725, -1.16117, -0.92476], [1.14579, -2.18703, -0.21887], [0.78102, -1.07634, -1.58334], [-2.10305, -1.16541, 1.10234], [-1.25891, -1.26103, -0.44400], [-2.35600, 0.93968, -0.28178], [-1.68632, 1.21114, 1.31688], [-0.60301, 2.55232, -0.66394], [1.72415, 1.85903, -0.72639]], "nbo_charge": [-0.551, 0.580, -0.724, -0.621, -0.449, -0.136, -0.329, 0.227, 0.245, 0.240, 0.227, 0.219, 0.201, 0.212, 0.222, 0.206, 0.232], "smiles": "CC/C=C\\C(C)=O", "e_lumo_ev": 0.972, "relative_energy_kcal_mol": 17.7, "homo_ev": -9.587}

***

{"formula": "C7H9F6N3O9PdS3", "method": "ωB97M-V with the def2-TZVPD basis set", "species": ["Pd", "O", "C", "O", "C", "O", "C", "C", "O", "O", "H", "H", "H", "H", "H", "F", "C", "F", "F", "S", "O", "O", "N", "S", "O", "O", "C", "F", "F", "F", "N", "C", "N", "S", "H", "H", "H", "H"], "coordinates": [[-1.24860, -0.40138, 0.92676], [-1.45734, 3.59328, 2.40963], [-1.22281, 2.57180, 1.60077], [-1.21075, 1.43109, 2.02018], [-0.94230, 3.02796, 0.19405], [-0.63435, 1.97116, -0.65238], [-1.53124, 1.70630, -1.70432], [-2.64109, 0.70099, -1.40101], [-3.39112, 0.42077, -2.32050], [-2.76256, 0.22400, -0.19835], [-1.58933, 3.24909, 3.30720], [-0.07945, 3.69650, 0.26931], [-1.79779, 3.62047, -0.14612], [-0.93376, 1.30737, -2.52354], [-2.00922, 2.61975, -2.07078], [4.59391, -0.49491, -0.47281], [4.05206, 0.66268, -0.10841], [4.78634, 1.20928, 0.85027], [4.03383, 1.48085, -1.16215], [2.31533, 0.41904, 0.44823], [1.85075, 1.70886, 0.86134], [1.66938, -0.21649, -0.67645], [2.60823, -0.55541, 1.64777], [1.60524, -1.43720, 2.43189], [0.18202, -1.11108, 2.24383], [1.98005, -1.62215, 3.78941], [1.81740, -3.09877, 1.65442], [1.71923, -3.01427, 0.32766], [0.88831, -3.93315, 2.10981], [3.01861, -3.57581, 1.95997], [-0.68031, -1.49378, -2.16664], [-1.66115, -2.14406, -1.57009], [-2.69936, -2.57743, -2.27473], [-1.61270, -2.50267, 0.12204], [-0.75439, -1.21650, -3.13265], [0.11083, -1.15630, -1.62462], [-2.84758, -2.24571, -3.21575], [-3.52433, -2.82419, -1.75327]], "nbo_charge": [0.916, -0.645, 0.825, -0.624, -0.174, -0.518, -0.185, 0.750, -0.655, -0.729, 0.510, 0.240, 0.213, 0.209, 0.202, -0.305, 0.731, -0.300, -0.311, 2.268, -0.929, -0.979, -1.235, 2.285, -0.973, -0.883, 0.725, -0.312, -0.305, -0.302, -0.763, 0.373, -0.743, -0.084, 0.404, 0.465, 0.409, 0.430], "e_lumo_ev": -1.155, "relative_energy_kcal_mol": 1.0, "homo_ev": -9.591}

***

In order of appearance, total energy = -309.814131 -3035.257300 Ha.

~~~~~
********


The county becomes the largest government entity to restrict single-use plastic food ware items from restaurants and other commercial operations.

“In all of these things our objective is not just to have changes made in city of Los Angeles, but to lead the way for the rest of the state and country to follow,” said Councilman Paul Krekorian, who along with Councilmembers Mitch O’Farrell, Paul Koretz and Nury Martinez shepherded these directives through the council from his seat on the Energy and Environment Committee.

The council actions came a week after Los Angeles County supervisors finalized a ban on polystyrene products and restrictions on single-use plastic food ware items from restaurants, stores, hospital cafeterias and food trucks in unincorporated areas.

The city has already passed several waste-reduction ordinances, such as a ban on single-use plastic garbage bags from grocery stores, as well as “by request only” restrictions on disposable plates, utensils and straws at restaurants.


But for the past several years, Krekorian and others said, they have wanted to do more. They cite the blight of plastics on the streets, in parks and waterways and on the beaches, and note the burden and cost of picking up and processing that litter.

“For too long the petrochemical industry has been putting these costs on us. It’s time to put an end to that and stop this at its source,” Krekorian said.

Krekorian and others said plastic waste has increased over the years, and spiked during the pandemic.

The measures approved Wednesday were derived from a report compiled this year by the Bureau of Sanitation that officials called a “master plan” for how to phase out single-use plastics.

In addition to the items for drafting ordinances and reducing waste at city facilities and events, the orders will require that every city employee receive waste training and that the Bureau of Sanitation and others begin an environmental review to make certain the new ordinances comply with California law.

This will ensure that if those ordinances pass, they won’t get locked up in lawsuits, said Alison Waliszewski, a co-chair of Reusable LA, a plastic pollution and reuse advocacy group.

“What the city is doing is very smart,” she said, noting that while L.A. County’s moves to ban single-use plastics and polystyrene were relatively quick, they could be vulnerable to attacks from industry.


Business groups voiced concerns about the steps taken Wednesday.

“While we certainly support objectives for eliminating waste in the environment, the report includes a broad range of policies that are deeply concerning to us, and will negatively impact our industries, employees and customers,” Harry Semerdjian, senior manager of public policy for the Los Angeles Area Chamber of Commerce, said at the hearing.

He said the report lacks details on how businesses will be affected.

Sarah Garfinkle, a legislative analyst with the Valley Industry and Commerce Assn., also called in to the meeting to express her group’s opposition.

“It is not clear these policies will reduce litter,” she said, adding that the council was moving to “ban products that are efficient, effective and affordable.”
